Sunday, March 4, 2018

The Toxic Narratives of Slavery and Gun Ownership in the United States

Image of black slaves being mistreated
Narratives are not only stories we tell ourselves and others, but they also comprise stories that are built and construed around the existence and development of countries and nations. Narratives are powerful themes that often define us and highlight our relationship with others, including our identification with our respective cultures and nationalities.

As we are continuously surrounded and, in some cases, even bombarded with certain narrative strains and trends, we come to not only accept and embrace them, but we often - consciously or unconsciously - come to identify with them. This can be problematic in various instances.

Narratives take place in various forms and dimensions and have different effects on their proponents and recipients, but I shall focus or limit my views here merely on the nation known as the United States. Since the citizens in the early days of this nation had to contend with constant fear of their safety, certain strains of narratives took hold and cast a spell on them and led them down a path quite different from that of citizens of other nations.

Historically, the United States had to fend off its territories and would fight against its original inhabitants, the indigenous people. In such cases, there loomed the constant threat of potential attacks from Red Indians onto the newly established settlements.

Furthermore, to have, refine and even re-define their own national identity and independence, the settlers, moreover, had to fight against British rule through the American revolution and had to create their own separate and distinguishable identity. This double threat of original inhabitants and controlling colonizers made it important for the settlers to ensure not only that their freedom was guaranteed and intact, but also to disseminate and propagate the ability to protect themselves against any kinds of threats to their lives and ideology.

In fact, to accept as well as face and deal with the brutality of the Wild West, there were two narratives that needed to be reinforced to bind and unite its citizens.

The first one I simply call the cowboy mentality. In fact, this is essentially an Us versus Them approach to daily life. Yet beneath this approach lies the juxtaposition and the implicit ideology of good versus evil. Put differently, the settlers used morality as a means to justify the usurpation of the land and the slaying of indigenous people. Since the pioneers regarded themselves as more civilized and, ipso facto, morally superior, they believed that their actions were right as well as guided and approved by divine forces.

Politically, this ideology has also continued and is known as the manifest destiny of the United States that - at least in the eyes of its own citizens - makes even objectionable and questionable actions morally right.

The cowboys then are regarded as good and pure and as upholders of the faith, whereas others – be they Indians, communists or terrorists - were assigned indiscriminately to the THEM bulk, that is, they were immediately and automatically stapled as threats to their ideology and, by extension, to the American way of life. This is also the moral backbone and justification for the fact that the United States often acts as a police state and takes the liberty to interfere globally while aiming to ensure that their own needs and interests are met.

This would also explain the penchant for celebrities and presidents who espouse such sweeping views, be it John Wayne or President Ronald Reagan (an ex-actor who played cowboys as well), both seen as prototypes of American stamina or even the current sitting president Donald Trump who uses rhetoric of harsh force and retaliation mirroring the language of gung-ho cowboys.

Yet the narrative of moral superiority has led to various dangerous and morally ambiguous interpretations, among them the existence and practice of slavery. This is due to a misconceived and downright racist view of African people, which allowed slavery not only to exist in the first place but to actually thrive and flourish in the United States; in fact, worse, slavery endured even when and long after other nations around the world had abolished its practice.

Although racism against black people is and has been prevalent all around the world, it was never as pronounced as in the United States. For example, Europeans were no less racist in thought and attitude, but this was not as systematic nor as vicious as in the land of the free, the land of the white settlers. Segregation in its systematic form did not exist as strictly nor as vehemently elsewhere, with the noted exception of the Apartheid system in South Africa.

A hatred that was so strong and even led to lynching and mob attacks against black people had always disturbed and puzzled me. How was it possible for these ordinary citizens to hate black people so sweepingly and fervently, not unlike the ways the Nazis hated the Jews? 

Yet the documentary I Am Not Your Negro based on the work of James Baldwin shed some light onto the issue. I realized that it was because of the toxic narrative of supposed moral righteousness and superiority that not only brought into being (and supposedly justified) the existence of slavery but also ensured its endurance and continuity. 

The underlying problem with such narratives is that they do not go away on their own. Despite slavery being officially outlawed, the idea of it continued to remain and fester in the minds of many Americans. How else could you justify the fact that it was illegal to have a mixed marriage until 1967, let alone, recent racist acts and attacks of the police force on members of the black community! 

None of this was based on economic benefits anymore. It is an often underplayed fact that the booming cotton industry brought wealth to the nation thanks to the free labor of the slaves. Even long after this, the narrative of slavery still lingered and was so entrenched in the fixed minds of many white Americans that black people continued to suffer throughout the years (and even up to modern days). Regardless of being officially and legally liberated from the yokes of slavery, people of color are unconsciously seen - and in some cases even tend to see themselves - as continuous victims of slavery.

The piece is interrupted by molecular data.
'''
C28H50I3N2O7 | ωB97M-V/def2-TZVPD

```
90
Properties=species:S:1:pos:R:3
C -3.7013 -1.1887 0.6198
C -2.7274 -1.0869 1.8761
I -2.6230 -2.7504 3.2741
C -1.9150 0.0413 2.1480
I -1.8409 1.8114 0.8966
C -0.9997 0.0641 3.4739
C -1.6686 0.7391 4.7259
I -3.7005 1.5460 4.5400
C -0.8993 0.8031 6.0891
C 0.5322 0.1469 6.0786
C 1.0992 -0.5139 4.7693
C 2.5574 -1.1811 4.9220
C 3.7465 -0.1091 4.7000
N 4.9849 -0.5649 4.6688
N 0.3358 -0.5299 3.5176
O 0.8794 -1.1457 2.4377
C 1.2706 -0.1717 1.4123
C 2.5869 -0.5531 0.5861
C 3.8366 -1.0188 1.4846
C 2.3615 -1.6442 -0.5767
C 1.9312 -0.8166 -1.9132
C 1.1770 -2.6925 -0.3006
H -3.5837 -0.3557 -0.1492
H -3.6205 -2.2036 0.0948
H -4.7802 -1.1057 1.0275
H -1.3633 1.2687 7.0252
H 1.1354 0.1502 7.0552
H 2.6347 -1.4855 6.0366
H 2.6871 -2.1417 4.3236
H 3.4460 0.9823 4.5378
H 5.6033 0.2475 4.4900
H 1.2855 0.8838 1.8722
H 0.4041 -0.1519 0.6425
H 2.9237 0.4192 0.0534
H 4.7064 -1.4029 0.8269
H 3.5537 -1.7838 2.3018
H 4.2503 -0.0578 1.9822
H 3.3740 -2.1580 -0.7957
H 0.9301 -0.2690 -1.7028
H 1.7208 -1.5189 -2.8005
H 2.6832 0.0053 -2.1851
H 0.1818 -2.1407 -0.3882
H 1.2118 -3.4679 -1.1606
H 1.3079 -3.2916 0.6627
C -1.6636 -4.8026 -1.1948
O -1.4280 -5.6828 -2.2748
C -2.0706 -6.9416 -2.0902
C -2.1403 -7.7017 -3.4108
O -3.2211 -7.2779 -4.2412
C -3.0467 -6.0163 -4.8891
C -2.0660 -6.0758 -6.0547
O -0.7250 -6.0112 -5.5778
C 0.2073 -6.4430 -6.5504
H -1.2919 -5.2311 -0.2586
H -1.1328 -3.8699 -1.3935
H -2.7334 -4.5808 -1.1122
H -3.0828 -6.7963 -1.6958
H -1.4774 -7.5162 -1.3688
H -2.3467 -8.7516 -3.1823
H -1.1914 -7.6724 -3.9488
H -2.7834 -5.2370 -4.1717
H -4.0316 -5.7620 -5.2919
H -2.2276 -5.2137 -6.7128
H -2.2238 -7.0009 -6.6198
H 0.0322 -7.4931 -6.8071
H 1.2092 -6.3533 -6.1286
H 0.1441 -5.8204 -7.4495
C -0.6754 5.8954 2.5592
O -0.3314 6.3006 1.2483
C -1.4356 6.2114 0.3537
C -1.1604 7.0150 -0.9135
O -1.4108 8.4101 -0.7529
C -0.4378 9.1307 0.0069
C 0.8592 9.3675 -0.7583
O 1.6843 8.2069 -0.7062
C 2.6957 8.2282 -1.6953
H -1.0243 4.8573 2.5639
H 0.2156 5.9732 3.1846
H -1.4454 6.5556 2.9713
H -2.3455 6.5859 0.8363
H -1.5693 5.1538 0.0941
H -1.8655 6.6820 -1.6811
H -0.1566 6.8340 -1.3015
H -0.2621 8.6568 0.9741
H -0.8930 10.1053 0.2054
H 1.4129 10.1914 -0.2928
H 0.6298 9.6237 -1.7984
H 2.2508 8.2334 -2.6960
H 3.2975 7.3245 -1.5897
H 3.3432 9.1023 -1.5669
```

The maximum force is 4.98 eV Å⁻¹. The gap between HOMO and LUMO comes out at 6.100 eV. The multiplicity is 1. The electronic energy comes out at -71442.85013 eV. The highest occupied orbital energy is -10.673 eV. Its net charge is +1.

C28H50O15S | ωB97M-V/def2-TZVPD

```
94
Properties=species:S:1:pos:R:3
C -3.0911 5.0691 0.7918
C -3.5319 6.5380 0.5514
C -2.9424 7.2543 -0.5994
O -4.0245 8.1257 -0.9877
C -5.1099 7.5136 -0.6871
O -6.2650 7.9196 -0.9235
O -4.8342 6.4508 0.1060
H -3.3651 4.6704 1.7686
H -2.0106 5.1355 0.9185
H -3.4570 4.4503 -0.0276
H -3.3981 7.1761 1.4249
H -2.5417 6.6390 -1.4049
H -2.1230 7.7678 -0.0964
C 3.9767 -0.7552 -3.3400
C 4.5713 0.6525 -2.8655
C 3.6066 1.4590 -1.9227
'''

Slavery does not only create and propagate deep trauma, it takes away and drains human rights and dignity from black people. According to the misguided and lingering narrative of slavery, black people are still seen as nothing but objects. And objects have no souls, no dignity and are easily used, abused and disposed of. These have been the deep wounds and scars that the practice of slavery has left on black people, which has been passed on from generation to generation.

Although I applaud the noble intentions of shows and movies like Roots and 12 Years a Slave to dig up the tremendous amount of pain and suffering that the practice of slavery has caused on people from the black race, I also find it troubling that these ideas would inadvertently be primed in the minds of many people; certain white people would continue their racist ideology based on these attitudes, while black people might unconsciously espouse the views of being victims and identify themselves with the troubled past of their ancestors. 

The second main narrative of the United States has to do with the Second Amendment to which many hold onto fervently and feverishly. This was regarded as a sign of freedom, particularly in the days of the settlers. Yet it was perhaps less a sign of freedom but an issue of practical use as the possession of firearms ensured that settlers could fend off enemies.

The enemies would include not only Indians but also fellow settlers. Even one’s property had to be fended against with acts of violence in those early days where chaos reigned in the towns, and law and order had yet to be firmly established. The roads were dangerous and for safe travel it was necessary to have guns and rifles to protect against robbers and bandits.

All this was seen as a necessity for life and not so much as a matter of freedom. Guns – and we are talking about rifles and revolvers of the past not modern automatic weapons - provided protection and could also be used as a form of rebellion against undermining and unjust government control. By ensuring that each citizen had their own gun, it made it difficult for totalitarian regimes to take over or for the British to take back their ex-colony, for instance.

Personally, I have never equated ownership of guns with freedom or safety, but I see it as a dangerous form of enslavement. In my view, life without any weapons would be the most ideal solution. Arming citizens against others would only create a more dangerous and volatile environment, the same way the nuclear race between nations will not make us any safer, but quite to the contrary.

Fostering a society that is based on empathy and that does not condone violence or aggression would be the best manner for ensuring safety. The symbols of violence must be eradicated to the best of our means and abilities, hence I strongly oppose educators to carry weapons because it would inadvertently or symbolically promote violence. 

We need to be receptive towards others and more importantly accept them and not isolate or segregate others. If anything, history brings us face to face with our mistakes, but now is the time to make amends with others and with one's own troubled and violent past.